Mankind's demise began on Dec. 17, 1903 and took place in our very own country. The Wright brothers had no idea what they had unleashed upon the world. Sure, people warned them about tampering with nature; if man were meant to fly, he would be born with wings, they said. Of course, Americans have never listened to the voice of reason and plod on in the name of progress. They should have paid attention to the story of another fellow who tampered with nature-Dr. Frankenstein and his monster come to mind. In any event, the humble boys from Ohio certainly did revolutionize the world as we know it... for the worse.Before you can even get on an airplane, you need to pass through the travails of the dreaded airport. This results in an affliction of urban society, traffic.

If you survive the harrowing experiences of getting to and inside the airport, you have the pleasure of enduring even more lines and waiting. In order to reach the ticketing counter, you must stand in line behind countless nincompoops-people who never seem to be ready for the procedure they endured the last time they flew.
Following that patience-trying experience, there is an even more mind-numbing wait: the metal detectors. For some reason, for all our brilliance, humankind has yet to develop a more efficient way of making sure that there are no incredibly stupid people getting on the plane. The truly selfish nature of man rears its ugly head; people yell and gripe because, although there are still fifteen minutes until boarding, they complain that they will not make their flight.

### Molecular data from another source follow
........
Molecular formula: C30H58Br4Cl3F9FeNO14S3
Method: DFT, wB97M-V/def2-TZVPD

For the orbital gap (spin up / spin down), the calculation gives 1.4 / 6.1 eV. Its expectation value of S² is 8.7688. The net charge is -2. Its HOMO energy (spin up / spin down) is 1.49 / -3.25 eV. The spin multiplicity is 6.

Element x y z (Å)
Fe  2.367  -1.671  -0.388
O  4.832  -0.250  -3.496
H  5.386  0.186  -2.845
H  5.376  -0.788  -4.076
H  4.126  -0.739  -3.066
C  3.470  1.037  2.134
C  4.388  -0.145  1.779
C  4.549  -1.025  3.042
O  4.040  -0.938  0.695
H  3.922  1.460  3.032
H  2.421  0.795  2.305
H  3.664  1.720  1.307
H  5.373  0.311  1.676
H  5.443  -1.649  3.036
H  3.685  -1.656  3.248
H  4.638  -0.347  3.890
C  0.850  -2.731  -3.053
C  2.354  -2.742  -3.310
C  2.765  -2.225  -4.636
O  3.167  -2.367  -2.172
H  0.269  -3.003  -3.934
H  0.559  -1.714  -2.790
H  0.546  -3.430  -2.274
H  2.552  -3.813  -3.293
H  2.292  -2.864  -5.382
H  3.832  -2.274  -4.854
H  2.420  -1.210  -4.834
C  -0.032  -5.178  1.040
F  -0.857  -4.740  0.048
F  -0.412  -4.511  2.114
F  -0.320  -6.468  1.334
S  1.808  -4.856  0.603
O  1.851  -3.370  0.423
O  2.643  -5.395  1.696
O  2.082  -5.585  -0.646
C  1.400  2.642  -0.740
F  2.628  3.253  -0.857
F  1.267  2.249  0.481
F  0.435  3.480  -1.182
S  1.221  1.008  -1.706
O  0.139  1.143  -2.700
O  2.497  0.806  -2.382
N  0.958  -0.313  -0.514
S  -0.548  -0.175  -0.037
O  -1.242  1.159  -0.100
O  -1.283  -1.265  -0.641
C  -0.398  -0.565  1.915
F  -0.114  0.530  2.607
F  -1.442  -1.108  2.401
F  0.612  -1.454  2.110
C  -2.270  1.830  -5.237
Cl  -3.990  2.451  -4.947
Cl  -1.120  3.138  -5.165
Cl  -2.215  1.163  -6.933
H  -1.915  1.129  -4.481
C  -4.182  -4.254  1.680
C  -4.651  -2.792  1.661
C  -4.649  -2.404  3.144
O  -4.825  -3.661  3.763
C  -4.067  -4.573  3.135
H  -3.202  -4.334  1.209
H  -4.972  -4.838  1.207
H  -5.695  -2.787  1.348
H  -4.023  -2.264  0.943
H  -5.492  -1.752  3.373
H  -3.825  -1.721  3.352
H  -4.590  -5.507  3.339
H  -3.051  -4.520  3.526
C  -3.888  1.138  6.222
C  -3.003  0.651  5.135
C  -1.571  0.915  5.606
O  -1.672  0.937  7.019
C  -2.934  1.332  7.418
H  -4.683  0.464  6.542
H  -4.370  2.099  6.043
H  -3.265  1.181  4.219
H  -3.240  -0.407  5.023
H  -1.192  1.827  5.146
H  -0.830  0.143  5.397
H  -2.927  2.390  7.681
H  -3.145  0.824  8.360
C  -3.813  -3.301  -1.908
C  -5.286  -3.327  -2.513
C  -5.199  -2.109  -3.439
O  -3.764  -1.888  -3.601
C  -3.058  -3.025  -3.174
H  -3.534  -4.179  -1.325
H  -3.531  -2.455  -1.281
H  -6.101  -3.243  -1.794
H  -5.356  -4.350  -2.882
H  -5.626  -1.211  -2.993
H  -5.600  -2.423  -4.403
H  -2.013  -2.846  -2.919
H  -3.088  -3.835  -3.903
C  6.689  3.675  -1.644
C  7.925  3.239  -2.415
C  7.528  1.967  -3.153
O  6.451  1.361  -2.389
C  5.814  2.384  -1.596
H  6.099  4.436  -2.154
H  7.059  3.928  -0.650
H  8.774  3.103  -1.745
H  8.275  3.939  -3.174
H  8.395  1.315  -3.259
H  7.244  2.127  -4.193
H  5.366  2.117  -0.639
H  4.909  2.547  -2.182
Br  -4.231  1.287  1.300
........

I will grant these miscreants one point in their favor, and that is that the airport security policies are asinine. Simply put, the only skills needed to be a metal detector screener is the ability to make people do really unnecessary actions multiple times. Example one: taking shoes off. Secondly: random extra security screenings. It really makes me feel comfortable about my security on the plane when I am chosen for the random screening and the shady looking character in the trench coat and unkempt beard behind me is not.

Once you get through the nauseating experience just described, you board the plane. This long and tedious process again becomes overly complicated due to the involvement of boors. If people cannot get on a plane in a swift and timely manner, they deserve to be put in the cargo hold. Also, if they chose to ignore the carry-on specifications so their bags don't fit in the overhead compartment, the bags should be left behind. Simple as that.

Now that airlines have lowered prices and eliminated flight-change fees, air travel is even more accessible to the masses; great, longer lines. I say they should keep prices the same and invest the money they would have lost into making the food more edible and teaching flight attendants not to bump elbows with the drink carts.

Stupid Wright brothers. Before them and their infernal invention, travel was luxurious and carefree. All the time we spend waiting in line to board an airplane is time wasted, and that build up of wasted time will inevitably result in the demise of our civilization.